Material =
C25H27CeN8O4S3 as an isolated structure, computed with ωB97M-V/def2-TZVPD.

HOMO: -16.478 eV
Energy above the lowest of the compared OMol25 structures with the same formula, charge and spin: 0.000 eV
LUMO level: -11.10 eV
Total charge: +3

```
68
Properties=species:S:1:pos:R:3:forces:R:3
Ce -0.608 -0.008 -0.209 2.4868 -0.4536 -2.4820
C 2.722 1.451 3.026 0.1022 -0.0868 -0.0561
C 1.925 1.284 1.770 -0.1864 0.3163 -0.0772
N 1.533 0.148 1.313 -0.1520 -0.1985 0.2308
N 1.934 -0.964 2.027 -0.2070 0.0124 -0.3176
C 1.612 -2.204 1.612 -0.0678 -0.0145 0.0267
N 2.001 -3.217 2.364 0.0062 -0.0181 -0.0463
S 0.761 -2.491 0.155 -0.2709 0.5358 0.0706
C 1.477 2.488 1.017 0.1008 -0.1055 0.1975
C 2.150 3.689 1.158 -0.0379 -0.0230 0.0165
C 1.663 4.819 0.513 0.0378 0.0626 0.0145
C 0.498 4.712 -0.218 -0.0474 -0.0209 0.0015
C -0.104 3.467 -0.327 -0.0487 0.0128 -0.0169
N 0.380 2.363 0.246 -0.0323 -0.2647 -0.0974
H 2.278 0.872 3.840 -0.0159 0.0048 0.0087
H 2.734 2.481 3.364 0.0038 0.0036 -0.0291
H 3.756 1.123 2.891 -0.0037 -0.0122 -0.0011
H 2.418 -0.822 2.903 0.0508 -0.0306 0.0375
H 2.546 -3.111 3.208 0.0069 0.0284 0.0049
H 1.765 -4.158 2.088 -0.0067 -0.0238 -0.0290
H 3.039 3.753 1.767 0.0061 0.0196 -0.0257
H 2.174 5.768 0.613 0.0042 -0.0066 -0.0090
H 0.044 5.570 -0.694 0.0194 -0.0123 -0.0060
H -1.025 3.366 -0.883 -0.0060 -0.0141 -0.0254
S 1.908 3.647 -6.895 0.0656 0.2303 -0.4120
N 2.732 2.662 -5.931 -0.4579 -0.0019 0.2733
C 1.882 2.278 -4.983 -0.5990 0.4442 -0.3294
C 2.192 1.389 -3.893 0.0649 -0.0972 0.1745
C 3.456 0.806 -3.720 -0.1982 0.1109 -0.0602
C 3.650 -0.024 -2.645 -0.1168 -0.0685 0.1951
C 2.590 -0.246 -1.766 -0.0594 0.0256 0.0089
N 1.377 0.294 -1.917 0.0719 -0.2439 0.5449
C 1.177 1.103 -2.973 -0.3503 0.3700 -0.4229
C -0.178 1.655 -3.155 0.5485 0.0103 -0.1658
N -1.119 1.284 -2.276 -0.5185 -0.1403 0.5716
C -2.372 1.730 -2.424 0.0425 -0.0638 0.1196
C -2.753 2.600 -3.437 0.1107 -0.0764 -0.0093
C -1.793 3.003 -4.342 -0.0036 -0.0264 0.0559
C -0.486 2.520 -4.208 0.0066 -0.0149 -0.1367
C 0.574 2.845 -5.134 0.7323 -0.2616 -0.0185
N 0.463 3.639 -6.189 0.2969 -0.1982 0.1999
H 4.246 1.016 -4.430 -0.0311 0.0077 -0.0068
H 4.600 -0.508 -2.468 -0.0091 0.0012 0.0078
H 2.717 -0.898 -0.913 0.0161 -0.0006 -0.0396
H -3.103 1.388 -1.696 0.0125 -0.0135 0.0199
H -3.778 2.935 -3.507 0.0041 -0.0048 -0.0023
H -2.031 3.675 -5.158 0.0288 -0.0126 0.0083
C -3.611 -0.284 2.896 -0.0901 -0.0270 0.1010
S -2.357 -0.084 1.721 -1.0785 0.0384 0.7228
O -1.102 -0.767 2.087 -0.1126 -0.0439 0.3198
O -2.028 1.320 1.432 -0.0698 0.0036 -0.0071
O -2.741 -0.670 0.384 -0.0969 0.0316 0.3443
H -3.394 0.407 3.712 -0.0075 -0.0360 0.0382
H -3.590 -1.320 3.229 -0.0413 0.0002 0.0089
H -4.558 -0.037 2.417 -0.0038 0.0259 0.0042
C -1.308 -2.980 -3.943 0.0351 -0.0168 -0.0763
C -2.260 -3.594 -2.925 -0.0871 -0.0604 0.0080
C -2.483 -2.465 -1.940 0.0836 0.0241 0.0324
O -1.240 -1.652 -1.990 0.0873 0.2324 0.5857
C -0.382 -2.170 -3.065 0.0244 0.1943 -0.0827
H -1.843 -2.333 -4.640 0.0096 0.0086 0.0220
H -0.763 -3.724 -4.521 -0.0119 0.0067 0.0145
H -1.799 -4.451 -2.432 0.0150 0.0097 0.0087
H -3.197 -3.925 -3.367 0.0072 0.0018 0.0091
H -2.617 -2.794 -0.915 -0.0356 -0.0189 0.0180
H -3.300 -1.804 -2.227 -0.0142 -0.0031 -0.0164
H 0.400 -2.780 -2.610 -0.0024 -0.0277 -0.0088
H 0.066 -1.312 -3.562 -0.0095 -0.0300 -0.0131
```
Positions in Å, forces in eV/Å.



C25H27Cl2DyIN7O7S3 as an isolated structure, computed with ωB97M-V/def2-TZVPD.

Expectation value of S²: 9.33
HOMO (spin up / spin down): -7.873 / -7.859 eV
Energy above the lowest of the compared OMol25 structures with the same formula, charge and spin: 0.000 eV
LUMO level (spin up / spin down): -0.51 / -0.51 eV
Total charge: 0
Spin multiplicity: 6

```
73
Properties=species:S:1:pos:R:3:forces:R:3
Dy -0.142 0.351 0.946 0.0578 -0.1089 -0.5549
O 0.924 -1.623 0.085 0.5846 -0.9140 -0.1588
C 1.720 -2.793 0.488 -1.7660 1.2919 0.7691
C 0.866 -3.967 0.931 0.0972 0.0165 0.8087
N -0.159 -3.717 1.950 0.3810 0.0984 0.0685
C -1.520 -3.551 1.446 0.0254 -0.5624 0.3875
Assignment =
Could you retype only the lines further above with the word "Spin" in them?
Reply =
Spin multiplicity: 6